This is not your mainstream journal of architecture. In fact, executive editors Andrej Radman and Stavros Kousoulas say the Footprint – Delft Architecture Theory Journal is meant to be radically different. Bringing together architectural theory and philosophy, they aim to provide a platform that is open and inclusive, sparks interest in the reader, and presents a different take on what education might look like.
Getting philosophical
Established by a group of PhD students in 2007, Footprint was originally intended to help them further their research and connect with other people. At the time, their group at TU Delft’s Faculty of Architecture and the Built Environment was called Architecture Theory, but has since become Architecture, Philosophy, and Theory. Both Assistant Professors within this group, Radman and Kousoulas are educated as architects and are self-described theory people. But they say their passion has driven them towards a more abstract realm of what they believe still belongs to the domain of architecture. “We realised in this kind of postmodern move there is not just one theory, there are many,” says Radman. “We wanted to distinguish ourselves by adding philosophy, which we are both passionate about.” Together with Assistant Professor Aleksandar Staničić, they are guiding Footprint in a unique direction.
Evolution of a journal

Over the years, the journal has evolved through different stages. It started with all the work being done by the people themselves, but has since become a professionalised publication. The team now produces two issues each year, which is no easy task they say. “There is the misconception about journals that it’s all about content or content related discussions,” says Kousoulas. “Of course, these are part of the game, but in order to sustain a rhythm of publications, you need so much more practical work to be put in place.” What now runs like a well-oiled machine has taken a lot of effort on their part and some support when it comes to publishing.
TU Delft OPEN Publishing has been hosting the journal for several years, and last year formally became the publishers of Footprint’s open access online journal. Radman and Kousoulas say the support has been extremely helpful, particularly when it comes to some of the practical aspects of publishing. “Our hearts have always been in open source, so the fact that we have officially joined forces is fantastic,” says Radman. “We believe that academic output should not be behind the paywall as a matter of principle.” The journal also collaborates closely with Jap Sam Books to offer printed issues on demand for people who might still want to have a hard copy in their hands.
Radical inclusivity
With its beginnings as a classical theory architecture journal, Footprint has gradually become more inclusive, making space for different voices. Within their faculty, Kousoulas explains that the architecture department is the biggest group, with lots of people doing lots of different things. “It used to be just the theory people involved in the journal, but it slowly it opened up to other academic groups in this department,” he says. What sets Footprint apart is that every issue is edited by a guest editor, who joins together with one member of the editorial board to propose a topic. “Many other journals have a more curated approach to what they do, so there is a common line that runs precisely throughout all the things that they produce,” says Kousoulas. “What we’re trying to do with Footprint is to allow for the possibility of each one of the people involved in the journal to bring their own interests without compromises. So there are very different topics indeed and every issue is radically different than the next.” As long as Radman and Kousoulas are involved, they say the content will always be as open as possible.
A different way to educate
Embracing the idea of heterogeneity and openness also means reaching students, which is somewhat unique for a journal. “I think sometimes students believe that theory is something that one needs to be fully initiated in before even daring to read an essay,” says Radman. “For us, it is more about the joy of discovering something that may not be fully clear but it might spark a certain interest. So if a single footnote takes you elsewhere, our job is done.” In fact, they don’t expect people to read Footprint from cover to cover. Radman explains that they are happy for people to browse through and find something that catches their eye, maybe taking them to uncharted territory.
(Inserted here: data records)
____________
A structure of composition C39H23IrN5O3PS2. Source: the OMol25 dataset; level of theory: wB97M-V/def2-TZVPD.

Results
LUMO energy, eV: -1.74
Energy above the lowest of the compared OMol25 structures with the same formula, charge and spin, eV: 0.518
Electronic energy, Eh: -3241.614674
Orbital gap, eV: 5.4280

Last column: Mulliken charge in e.
CARTESIAN COORDINATES (ANGSTROEM)
Ir 0.091 -0.919 -0.247  1.939
S 0.089 -0.508 2.198  -0.476
C 1.720 0.030 2.476  1.105
C 2.024 0.682 3.673  -1.102
C 3.306 1.125 3.951  0.468
C 3.574 1.820 5.179  -0.236
N 3.778 2.391 6.154  -0.563
C 4.327 0.907 3.012  0.475
C 4.026 0.272 1.818  -1.294
C 2.736 -0.168 1.532  0.800
S 2.474 -0.968 -0.004  -0.608
C 5.671 1.340 3.267  -0.117
N 6.750 1.680 3.470  -0.566
H 1.232 0.853 4.390  0.518
H 4.807 0.127 1.082  0.457
O 0.095 -2.034 -2.922  -0.745
C 0.143 -0.987 -2.300  -0.642
C 0.233 0.311 -3.067  0.486
C 0.285 0.323 -4.459  -0.616
C 0.380 1.529 -5.131  -0.576
C 0.425 2.729 -4.424  -0.765
C 0.370 2.722 -3.041  0.203
C 0.270 1.508 -2.366  -0.553
P 0.213 1.347 -0.557  1.628
C 1.675 2.309 -0.053  0.539
C 2.837 2.124 -0.807  -0.541
C 4.016 2.754 -0.444  -0.955
C 4.055 3.566 0.682  -0.485
C 2.904 3.764 1.427  -0.784
C 1.719 3.140 1.061  -0.329
C -1.268 2.283 -0.062  0.193
C -1.519 2.578 1.280  0.303
C -2.708 3.188 1.653  -1.245
C -3.674 3.482 0.700  -0.578
C -3.447 3.161 -0.631  -0.942
C -2.252 2.565 -1.011  -0.393
H 0.251 -0.620 -4.989  0.538
H 0.423 1.543 -6.213  0.408
H 0.507 3.668 -4.956  0.436
H 0.409 3.650 -2.482  0.531
H 2.821 1.483 -1.678  0.342
H 4.908 2.601 -1.037  0.429
H 4.982 4.040 0.979  0.445
H 2.924 4.399 2.304  0.481
H 0.833 3.322 1.652  0.212
H -0.815 2.277 2.044  0.157
H -2.882 3.424 2.695  0.441
H -4.606 3.945 0.997  0.399
H -4.200 3.373 -1.378  0.433
H -2.094 2.307 -2.049  0.384
O -4.612 -6.941 -0.535  -0.639
N -3.422 -6.736 -0.442  1.059
O -2.582 -7.612 -0.437  -0.627
C -2.979 -5.328 -0.317  -0.654
C -3.972 -4.424 -0.195  -0.409
C -3.695 -3.036 -0.035  1.199
C -4.699 -2.076 0.165  -0.964
C -4.339 -0.775 0.382  -1.057
C -2.983 -0.428 0.355  -0.120
N -2.028 -1.306 0.111  0.059
C -2.369 -2.607 -0.055  -0.789
C -1.314 -3.564 -0.212  0.323
N -0.067 -3.052 -0.234  0.274
C 0.961 -3.863 -0.367  0.083
C 0.794 -5.246 -0.449  -1.016
C -0.463 -5.789 -0.429  -0.530
C -1.583 -4.938 -0.319  0.600
H -4.995 -4.773 -0.204  0.587
H -5.738 -2.381 0.161  0.475
H -5.075 -0.007 0.571  0.528
H -2.668 0.583 0.549  0.564
H 1.939 -3.404 -0.407  0.356
H 1.665 -5.880 -0.531  0.454
H -0.597 -6.853 -0.497  0.604

---

A structure of composition C39H24Cl4MoO2P. Source: the OMol25 dataset; level of theory: wB97M-V/def2-TZVPD.

Results
Net charge: +1
LUMO energy, eV: -4.56
Energy above the lowest of the compared OMol25 structures with the same formula, charge and spin, eV: 0.000
Electronic energy, Eh: -3901.076690
Orbital gap, eV: 6.1139

Last column: Mulliken charge in e.
CARTESIAN COORDINATES (ANGSTROEM)
Mo -0.394 0.866 1.885  -0.307
C -2.296 -5.218 2.183  -0.549
____________
With that in mind, they will stay focused on supporting content that is open as possible. “I say this from a pedagogical point of view because it seems as if one way of looking at things is that acquiring knowledge means mastering it and being able to reproduce it,” says Radman. “For us it’s much more interesting to see what it is that people do with what they are – they can chew on some of the things that we provide and then do whatever they want with it. And that is a radically different conception of what teaching, pedagogy, and education might look like.” For now, the team is working to ensure that Footprint is a self-sustainable, resilient machine that keeps evolving and enriching the architecture discipline.